Given >
- - -
# 1
# Li2FeP2HO8 (meta-GGA SCAN, PBEsol geometry)
data_Li2FeP2HO8
_chemical_formula_sum 'Li4 Fe2 P4 H2 O16'
_cell_length_a 4.758
_cell_length_b 7.793
_cell_length_c 7.682
_cell_angle_alpha 90.00
_cell_angle_beta 112.88
_cell_angle_gamma 90.00
_space_group_name_H-M_alt 'P 1'
_space_group_IT_number 1
loop_
_space_group_symop_operation_xyz
'x,y,z'
loop_
_atom_site_label
_atom_site_type_symbol
_atom_site_fract_x
_atom_site_fract_y
_atom_site_fract_z
Li1 Li 0.042 0.135 0.158
Li2 Li 0.042 0.365 0.658
Li3 Li 0.958 0.635 0.342
Li4 Li 0.958 0.865 0.842
Fe1 Fe 0.000 0.000 0.500
Fe2 Fe 0.000 0.500 0.000
P1 P 0.371 0.654 0.740
P2 P 0.371 0.846 0.240
P3 P 0.629 0.154 0.760
P4 P 0.629 0.346 0.260
H1 H 0.500 0.000 0.000
H2 H 0.500 0.500 0.500
O1 O 0.214 0.670 0.192
O2 O 0.214 0.830 0.692
O3 O 0.221 0.542 0.846
O4 O 0.221 0.958 0.346
O5 O 0.284 0.176 0.639
O6 O 0.284 0.324 0.139
O7 O 0.313 0.556 0.554
O8 O 0.313 0.944 0.054
O9 O 0.687 0.056 0.946
O10 O 0.687 0.444 0.446
O11 O 0.716 0.676 0.861
O12 O 0.716 0.824 0.361
O13 O 0.779 0.042 0.654
O14 O 0.779 0.458 0.154
O15 O 0.786 0.170 0.308
O16 O 0.786 0.330 0.808
# Size of the total moment in μB/f.u.: 1.0
# VASP energy in eV per cell: -255.76

# 2
# Li2Fe2P4H3O16 (meta-GGA SCAN, PBEsol geometry)
data_Li2Fe2P4H3O16
_chemical_formula_sum 'Li2 Fe2 P4 H3 O16'
_cell_length_a 4.921
_cell_length_b 7.154
_cell_length_c 7.988
_cell_angle_alpha 90.01
_cell_angle_beta 92.13
_cell_angle_gamma 102.88
_space_group_name_H-M_alt 'P 1'
_space_group_IT_number 1
loop_
_space_group_symop_operation_xyz
'x,y,z'
loop_
_atom_site_label
_atom_site_type_symbol
_atom_site_fract_x
_atom_site_fract_y
_atom_site_fract_z
Li1 Li 0.000 0.000 0.000
Li2 Li 0.279 0.346 0.691
Fe1 Fe 0.140 0.173 0.345
Fe2 Fe 0.640 0.671 0.847
P1 P 0.012 0.412 0.996
P2 P 0.269 0.930 0.695
P3 P 0.516 0.905 0.184
P4 P 0.764 0.440 0.507
H1 H 0.295 0.593 0.237
H2 H 0.629 0.168 0.841
H3 H 0.985 0.752 0.455
O1 O 0.030 0.847 0.809
O2 O 0.122 0.391 0.178
O3 O 0.160 0.955 0.515
O4 O 0.253 0.498 0.883
O5 O 0.298 0.029 0.166
O6 O 0.405 0.722 0.284
O7 O 0.421 0.129 0.766
O8 O 0.477 0.794 0.682
O9 O 0.498 0.325 0.421
O10 O 0.592 0.853 0.004
O11 O 0.690 0.492 0.688
O12 O 0.783 0.020 0.271
O13 O 0.807 0.551 0.010
O14 O 0.861 0.216 0.924
O15 O 0.875 0.623 0.407
O16 O 0.983 0.317 0.525
# Size of the total moment in μB/f.u.: 9.0
# VASP energy in eV per cell: -248.09

# 3
# LiFeH12S2O14 (meta-GGA SCAN, PBEsol geometry)
data_LiFeH12S2O14
_chemical_formula_sum 'Li2 Fe2 H24 S4 O28'
_cell_length_a 5.692
_cell_length_b 11.925
_cell_length_c 8.664
_cell_angle_alpha 90.00
_cell_angle_beta 106.20
_cell_angle_gamma 90.00
_space_group_name_H-M_alt 'P 1'
_space_group_IT_number 1
loop_
_space_group_symop_operation_xyz
'x,y,z'
loop_
_atom_site_label
_atom_site_type_symbol
_atom_site_fract_x
_atom_site_fract_y
_atom_site_fract_z
Li1 Li 0.189 0.000 0.197
Li2 Li 0.811 0.500 0.803
Fe1 Fe 0.477 0.422 0.243
Fe2 Fe 0.523 0.922 0.757
H1 H 0.134 0.343 0.027
H2 H 0.151 0.484 0.357
H3 H 0.154 0.571 0.211
H4 H 0.170 0.785 0.699
H5 H 0.175 0.004 0.541
H6 H 0.188 0.864 0.865
H7 H 0.383 0.528 0.982
H8 H 0.388 0.302 0.988
H9 H 0.428 0.034 0.495
H10 H 0.446 0.233 0.354
H11 H 0.470 0.819 0.494
H12 H 0.475 0.111 0.876
H13 H 0.525 0.611 0.124
H14 H 0.530 0.319 0.506
H15 H 0.554 0.733 0.646
H16 H 0.572 0.534 0.505
H17 H 0.612 0.802 0.012
H18 H 0.617 0.028 0.018
H19 H 0.812 0.364 0.135
H20 H 0.825 0.504 0.459
H21 H 0.830 0.285 0.301
H22 H 0.846 0.071 0.789
H23 H 0.849 0.984 0.643
H24 H 0.866 0.843 0.973
S1 S 0.219 0.571 0.659
S2 S 0.265 0.785 0.171
S3 S 0.735 0.285 0.829
S4 S 0.781 0.071 0.341
O1 O 0.094 0.692 0.162
O2 O 0.102 0.680 0.608
O3 O 0.114 0.486 0.533
O4 O 0.147 0.871 0.042
O5 O 0.168 0.534 0.812
O6 O 0.181 0.489 0.247
O7 O 0.224 0.860 0.758
O8 O 0.311 0.850 0.322
O9 O 0.312 0.323 0.077
O10 O 0.357 0.021 0.587
O11 O 0.427 0.311 0.390
O12 O 0.483 0.030 0.913
O13 O 0.491 0.580 0.683
O14 O 0.497 0.746 0.143
O15 O 0.503 0.246 0.857
O16 O 0.509 0.080 0.317
O17 O 0.517 0.530 0.087
- - -

Activity >
It remains to print all of the lines above without additions.

Solution >
# 1
# Li2FeP2HO8 (meta-GGA SCAN, PBEsol geometry)
data_Li2FeP2HO8
_chemical_formula_sum 'Li4 Fe2 P4 H2 O16'
_cell_length_a 4.758
_cell_length_b 7.793
_cell_length_c 7.682
_cell_angle_alpha 90.00
_cell_angle_beta 112.88
_cell_angle_gamma 90.00
_space_group_name_H-M_alt 'P 1'
_space_group_IT_number 1
loop_
_space_group_symop_operation_xyz
'x,y,z'
loop_
_atom_site_label
_atom_site_type_symbol
_atom_site_fract_x
_atom_site_fract_y
_atom_site_fract_z
Li1 Li 0.042 0.135 0.158
Li2 Li 0.042 0.365 0.658
Li3 Li 0.958 0.635 0.342
Li4 Li 0.958 0.865 0.842
Fe1 Fe 0.000 0.000 0.500
Fe2 Fe 0.000 0.500 0.000
P1 P 0.371 0.654 0.740
P2 P 0.371 0.846 0.240
P3 P 0.629 0.154 0.760
P4 P 0.629 0.346 0.260
H1 H 0.500 0.000 0.000
H2 H 0.500 0.500 0.500
O1 O 0.214 0.670 0.192
O2 O 0.214 0.830 0.692
O3 O 0.221 0.542 0.846
O4 O 0.221 0.958 0.346
O5 O 0.284 0.176 0.639
O6 O 0.284 0.324 0.139
O7 O 0.313 0.556 0.554
O8 O 0.313 0.944 0.054
O9 O 0.687 0.056 0.946
O10 O 0.687 0.444 0.446
O11 O 0.716 0.676 0.861
O12 O 0.716 0.824 0.361
O13 O 0.779 0.042 0.654
O14 O 0.779 0.458 0.154
O15 O 0.786 0.170 0.308
O16 O 0.786 0.330 0.808
# Size of the total moment in μB/f.u.: 1.0
# VASP energy in eV per cell: -255.76

# 2
# Li2Fe2P4H3O16 (meta-GGA SCAN, PBEsol geometry)
data_Li2Fe2P4H3O16
_chemical_formula_sum 'Li2 Fe2 P4 H3 O16'
_cell_length_a 4.921
_cell_length_b 7.154
_cell_length_c 7.988
_cell_angle_alpha 90.01
_cell_angle_beta 92.13
_cell_angle_gamma 102.88
_space_group_name_H-M_alt 'P 1'
_space_group_IT_number 1
loop_
_space_group_symop_operation_xyz
'x,y,z'
loop_
_atom_site_label
_atom_site_type_symbol
_atom_site_fract_x
_atom_site_fract_y
_atom_site_fract_z
Li1 Li 0.000 0.000 0.000
Li2 Li 0.279 0.346 0.691
Fe1 Fe 0.140 0.173 0.345
Fe2 Fe 0.640 0.671 0.847
P1 P 0.012 0.412 0.996
P2 P 0.269 0.930 0.695
P3 P 0.516 0.905 0.184
P4 P 0.764 0.440 0.507
H1 H 0.295 0.593 0.237
H2 H 0.629 0.168 0.841
H3 H 0.985 0.752 0.455
O1 O 0.030 0.847 0.809
O2 O 0.122 0.391 0.178
O3 O 0.160 0.955 0.515
O4 O 0.253 0.498 0.883
O5 O 0.298 0.029 0.166
O6 O 0.405 0.722 0.284
O7 O 0.421 0.129 0.766
O8 O 0.477 0.794 0.682
O9 O 0.498 0.325 0.421
O10 O 0.592 0.853 0.004
O11 O 0.690 0.492 0.688
O12 O 0.783 0.020 0.271
O13 O 0.807 0.551 0.010
O14 O 0.861 0.216 0.924
O15 O 0.875 0.623 0.407
O16 O 0.983 0.317 0.525
# Size of the total moment in μB/f.u.: 9.0
# VASP energy in eV per cell: -248.09

# 3
# LiFeH12S2O14 (meta-GGA SCAN, PBEsol geometry)
data_LiFeH12S2O14
_chemical_formula_sum 'Li2 Fe2 H24 S4 O28'
_cell_length_a 5.692
_cell_length_b 11.925
_cell_length_c 8.664
_cell_angle_alpha 90.00
_cell_angle_beta 106.20
_cell_angle_gamma 90.00
_space_group_name_H-M_alt 'P 1'
_space_group_IT_number 1
loop_
_space_group_symop_operation_xyz
'x,y,z'
loop_
_atom_site_label
_atom_site_type_symbol
_atom_site_fract_x
_atom_site_fract_y
_atom_site_fract_z
Li1 Li 0.189 0.000 0.197
Li2 Li 0.811 0.500 0.803
Fe1 Fe 0.477 0.422 0.243
Fe2 Fe 0.523 0.922 0.757
H1 H 0.134 0.343 0.027
H2 H 0.151 0.484 0.357
H3 H 0.154 0.571 0.211
H4 H 0.170 0.785 0.699
H5 H 0.175 0.004 0.541
H6 H 0.188 0.864 0.865
H7 H 0.383 0.528 0.982
H8 H 0.388 0.302 0.988
H9 H 0.428 0.034 0.495
H10 H 0.446 0.233 0.354
H11 H 0.470 0.819 0.494
H12 H 0.475 0.111 0.876
H13 H 0.525 0.611 0.124
H14 H 0.530 0.319 0.506
H15 H 0.554 0.733 0.646
H16 H 0.572 0.534 0.505
H17 H 0.612 0.802 0.012
H18 H 0.617 0.028 0.018
H19 H 0.812 0.364 0.135
H20 H 0.825 0.504 0.459
H21 H 0.830 0.285 0.301
H22 H 0.846 0.071 0.789
H23 H 0.849 0.984 0.643
H24 H 0.866 0.843 0.973
S1 S 0.219 0.571 0.659
S2 S 0.265 0.785 0.171
S3 S 0.735 0.285 0.829
S4 S 0.781 0.071 0.341
O1 O 0.094 0.692 0.162
O2 O 0.102 0.680 0.608
O3 O 0.114 0.486 0.533
O4 O 0.147 0.871 0.042
O5 O 0.168 0.534 0.812
O6 O 0.181 0.489 0.247
O7 O 0.224 0.860 0.758
O8 O 0.311 0.850 0.322
O9 O 0.312 0.323 0.077
O10 O 0.357 0.021 0.587
O11 O 0.427 0.311 0.390
O12 O 0.483 0.030 0.913
O13 O 0.491 0.580 0.683
O14 O 0.497 0.746 0.143
O15 O 0.503 0.246 0.857
O16 O 0.509 0.080 0.317
O17 O 0.517 0.530 0.087